What’s Your Boundary

(What comes next are crystal structures, not part of the text)
-- begin --
# KCaCeNbO6
Calculated PXRD pattern, copper Kα. Input: the GGA-PBE geometry in the Materials Project.

Largest 8 diffraction maxima, by angle, 2θ = 10–90°:
2theta  I/Imax
20.97  51
29.82  100
42.68  38
48.02  22
52.94  39
61.95  22
70.26  17
85.82  20

Cell and atoms:
abc: 5.9914 5.9914 5.9914
angles: 60.00 60.00 60.00
Element x y z (fractional)
1 K 0.0000 0.0000 0.0000
2 Ca 0.5000 0.5000 0.5000
3 Ce 0.7500 0.7500 0.7500
4 Nb 0.2500 0.2500 0.2500
5 O 0.0126 0.0126 0.4874
6 O 0.0126 0.4874 0.0126
7 O 0.0126 0.4874 0.4874
8 O 0.4874 0.0126 0.0126
9 O 0.4874 0.0126 0.4874
10 O 0.4874 0.4874 0.0126


# CuP3NO9
Calculated PXRD pattern, copper Kα. Input: the GGA-PBE geometry in the Materials Project.

Largest 8 diffraction maxima, by angle, 2θ = 10–90°:
2theta  I/Imax
13.61  100
15.42  32
16.87  50
23.43  22
25.27  34
25.45  22
28.74  21
29.80  49

Cell and atoms:
abc: 5.1667 11.4901 13.2362
angles: 90.00 100.46 90.00
Element x y z (fractional)
1 Cu 0.0000 0.0000 0.0000
2 Cu 0.0000 0.0000 0.5000
3 Cu 0.0000 0.5000 0.0000
4 Cu 0.0000 0.5000 0.5000
5 P 0.2490 0.2472 0.0082
6 P 0.2490 0.2528 0.5082
7 P 0.4741 0.0887 0.8709
8 P 0.4741 0.4113 0.3709
9 P 0.4826 0.5796 0.8502
10 P 0.4826 0.9204 0.3502
11 P 0.5174 0.0796 0.6498
12 P 0.5174 0.4204 0.1498
13 P 0.5259 0.5887 0.6291
14 P 0.5259 0.9113 0.1291
15 P 0.7510 0.7472 0.4918
16 P 0.7510 0.7528 0.9918
17 N 0.0634 0.7116 0.2484
18 N 0.0634 0.7884 0.7484
19 N 0.9366 0.2116 0.2516
20 N 0.9366 0.2884 0.7516
21 O 0.0428 0.1592 0.4755
22 O 0.0428 0.3408 0.9755
23 O 0.1492 0.1415 0.0585
24 O 0.1492 0.3585 0.5585
25 O 0.2053 0.5403 0.8297
26 O 0.2053 0.9597 0.3297
27 O 0.2248 0.5859 0.6033
28 O 0.2248 0.9141 0.1033
29 O 0.3136 0.5091 0.3985
30 O 0.3136 0.9909 0.8985
31 O 0.3270 0.5087 0.0885
32 O 0.3270 0.9913 0.5885
33 O 0.3815 0.2127 0.9131
34 O 0.3815 0.2873 0.4131
35 O 0.4074 0.1196 0.7508
36 O 0.4074 0.3804 0.2508
37 O 0.4903 0.2025 0.5887
38 O 0.4903 0.2975 0.0887
39 O 0.5097 0.7025 0.9113
40 O 0.5097 0.7975 0.4113
41 O 0.5926 0.6196 0.7492
42 O 0.5926 0.8804 0.2492
43 O 0.6185 0.7127 0.5869
44 O 0.6185 0.7873 0.0869
45 O 0.6730 0.0087 0.4115
46 O 0.6730 0.4913 0.9115
47 O 0.6864 0.0091 0.1015
48 O 0.6864 0.4909 0.6015
49 O 0.7752 0.0859 0.8967
50 O 0.7752 0.4141 0.3967
51 O 0.7947 0.0403 0.6703
52 O 0.7947 0.4597 0.1703
53 O 0.8508 0.6415 0.4415
54 O 0.8508 0.8585 0.9415
55 O 0.9572 0.6592 0.0245
56 O 0.9572 0.8408 0.5245


# SbPt3
Calculated PXRD pattern, copper Kα. Input: the GGA-PBE geometry in the Materials Project.

Largest 8 diffraction maxima, by angle, 2θ = 10–90°:
2theta  I/Imax
38.01  100
42.97  18
44.77  32
63.79  22
65.18  10
75.44  14
78.01  25
81.28  11

Cell and atoms:
abc: 4.0484 4.0484 8.4197
angles: 90.00 90.00 90.00
Element x y z (fractional)
1 Sb 0.0000 0.0000 0.0000
2 Sb 0.5000 0.5000 0.5000
3 Pt 0.0000 0.0000 0.5000
4 Pt 0.0000 0.5000 0.2500
5 Pt 0.0000 0.5000 0.7500
6 Pt 0.5000 0.0000 0.2500
7 Pt 0.5000 0.0000 0.7500
8 Pt 0.5000 0.5000 0.0000


# Ce2Co3Ge4Ru
-- stop --

Boundaries exist all around us. They are helpful and important for our understanding of personal and professional relationships with others. We all have a boundary that we might not necessarily reflect upon very often. There are a few different types of boundaries that have distinct traits to help explore how one typically interacts with others. As you read, take note of which characteristics you can identify with to determine your boundary.

********
[1]
Starting from DFT lattice parameters and positions (PBE), the powder X-ray diffraction pattern of TiCrSi4 was calculated for Cu Ka.
Peak positions follow from Bragg's law for the DFT cell and can differ from measured ones.

Principal peaks in the range 2θ from 5° to 70°, in order of falling intensity:
42.3 deg, intensity 100; 41.4 deg, intensity 95; 41.6 deg, intensity 94; 41.8 deg, intensity 93; 48.8 deg, intensity 60; 48.6 deg, intensity 57; 48.5 deg, intensity 56; 26.2 deg, intensity 31; 38.9 deg, intensity 16; 26.4 deg, intensity 15

Cell and atoms:
Unit cell a=4.596 b=12.823 c=4.614 alpha=90.00 beta=119.57 gamma=90.00
Element x y z (fractional)
Ti (0.000, 0.000, 0.000)
Ti (0.000, 0.497, 0.000)
Ti (0.500, 0.664, 0.000)
Cr (0.000, 0.330, 0.500)
Cr (0.000, 0.834, 0.500)
Cr (0.500, 0.164, 0.000)
Si (0.172, 0.167, 0.342)
Si (0.179, 0.668, 0.343)
Si (0.335, 0.494, 0.657)
Si (0.335, 0.832, 0.171)
Si (0.341, 0.329, 0.170)
Si (0.341, 0.999, 0.662)
Si (0.659, 0.329, 0.830)
Si (0.659, 0.999, 0.338)
Si (0.665, 0.494, 0.343)
Si (0.665, 0.832, 0.829)
Si (0.821, 0.668, 0.657)
Si (0.828, 0.167, 0.658)


[2]
Starting from DFT lattice parameters and positions (PBE), the powder X-ray diffraction pattern of Ti3Cr3Si5 was calculated for Cu Ka.
Peak positions follow from Bragg's law for the DFT cell and can differ from measured ones.

Principal peaks in the range 2θ from 5° to 70°, in order of falling intensity:
42.8 deg, intensity 100; 41.4 deg, intensity 60; 44.5 deg, intensity 55; 42.1 deg, intensity 53; 41.9 deg, intensity 48; 41.6 deg, intensity 47; 40.7 deg, intensity 32; 40.5 deg, intensity 29; 39.5 deg, intensity 27; 39.7 deg, intensity 26

Cell and atoms:
Unit cell a=9.106 b=9.106 c=7.554 alpha=114.08 beta=114.08 gamma=30.79
Element x y z (fractional)
Ti (0.066, 0.066, 0.309)
Ti (0.141, 0.141, 0.746)
Ti (0.357, 0.357, 0.474)
Ti (0.643, 0.643, 0.526)
Ti (0.859, 0.859, 0.254)
Ti (0.934, 0.934, 0.691)
Cr (0.055, 0.562, 0.809)
Cr (0.438, 0.945, 0.191)
Cr (0.439, 0.439, 0.186)
Cr (0.561, 0.561, 0.814)
Cr (0.562, 0.055, 0.809)
Cr (0.945, 0.438, 0.191)
Si (0.068, 0.068, 0.977)
Si (0.217, 0.217, 0.512)
Si (0.256, 0.744, 0.500)
Si (0.289, 0.289, 0.083)
Si (0.435, 0.435, 0.858)
Si (0.565, 0.565, 0.142)
Si (0.711, 0.711, 0.917)
Si (0.744, 0.256, 0.500)
Si (0.783, 0.783, 0.488)
Si (0.932, 0.932, 0.023)


[3]
Starting from DFT lattice parameters and positions (PBE), the powder X-ray diffraction pattern of U2Cr3Si was calculated for Cu Ka.
Peak positions follow from Bragg's law for the DFT cell and can differ from measured ones.

Principal peaks in the range 2θ from 5° to 70°, in order of falling intensity:
39.2 deg, intensity 100; 35.0 deg, intensity 63; 42.3 deg, intensity 47; 22.9 deg, intensity 44; 65.6 deg, intensity 43; 20.0 deg, intensity 41; 41.8 deg, intensity 37; 40.7 deg, intensity 18; 53.6 deg, intensity 15; 62.9 deg, intensity 12

Cell and atoms:
Unit cell a=5.121 b=5.121 c=8.062 alpha=90.00 beta=90.00 gamma=120.00
Element x y z (fractional)
********

Rigid boundaries are characterized by not sharing personal feelings or opinions with others. Individuals with rigid boundaries may appear stoic, uncaring, or cold, without much emotional reaction. They might have difficulty asking for help from others.

If you can identify with some of these characteristics, I would challenge you to explore what might be behind your reasoning to remain firm or private. For example, I have worked with some clients who can identify a difficulty with being vulnerable and open with people in their life, thus choosing to create rigid boundaries for themselves as a protection.

Porous boundaries or no-boundaries refer to an individual who may over-share information, thoughts and feelings. They might give too much to other people or also take too much. They might have difficulty getting their needs met on their own, relying on others to fulfill their well-being.

If you can relate to this type of boundary, you might find yourself saying “yes” when you want to say “no”. You might also believe that you are responsible for the feelings of others. If these traits resonate with you, it could be helpful to ask yourself to consider how people in your life respond to you. This gives you insight into changes that you might like to make for yourself to ensure self-respect and autonomy.

Healthy boundaries exist when we can be assertive and clear about our wants and needs. Those with healthy boundaries are often interdependent, and can use discretion to determine who to share personal information. Negotiation and compromise are also features of someone with a healthy boundary, also being able to make mistakes without damaging their sense of self. Individuals with healthy boundaries can also practice empathy, while also respecting the rights of others.

(Misplaced materials data)
........
# KMg2As2H31O23
Simulated X-ray diffraction stick pattern, CuKα. Input: a DFT-relaxed cell (GGA-PBE, the Materials Project).

Structure:
```
59
Lattice="6.4585 0.0000 0.0000 0.1879 6.6811 0.0000 1.4033 0.7135 12.8050" Properties=species:S:1:pos:R:3 pbc="T T T"
K 0.0000 0.0000 0.0000
Mg 1.1142 1.0765 9.2340
Mg 3.7015 0.7187 2.7767
As 3.8981 4.2568 11.6924
As 5.0469 4.6942 6.7071
H 1.1966 3.2905 7.6104
H 0.8480 0.7909 4.5142
H 1.3070 5.7105 7.4136
H 1.1701 4.2380 5.2485
H 1.9818 5.5028 3.7327
H 1.9379 5.9417 2.2183
H 2.7052 3.1042 8.0931
H 2.1833 2.9803 3.2003
H 2.8140 6.3319 7.4545
H 2.7637 4.1520 4.9909
H 3.5370 1.5222 10.6353
H 3.6541 6.6531 10.1904
H 2.7789 3.1540 1.7227
H 3.3920 5.8938 0.4475
H 3.2142 0.8163 0.0075
H 4.4577 4.3657 9.0071
H 4.0138 2.2244 5.0999
H 4.0346 0.6544 5.5689
H 4.7302 4.9765 3.9651
H 5.2211 2.1848 8.3689
H 5.1738 0.6632 7.8632
H 4.7688 4.0542 0.6730
H 6.0698 2.5656 11.0426
H 6.0910 5.7765 10.4189
H 5.3463 5.0346 2.5062
H 5.6051 2.4544 1.7940
H 5.9617 1.4829 4.9174
H 6.1738 1.5515 2.9741
H 6.3446 3.8400 0.3084
H 7.5992 3.1647 11.0675
H 7.6351 5.4486 10.7362
O 2.1730 4.3573 11.7404
O 1.8137 2.6838 8.0990
O 1.9119 6.3592 7.8683
O 1.8699 4.2509 4.5340
O 2.0901 6.3190 3.1011
O 2.9240 0.8063 10.2937
O 2.6239 2.4963 2.4559
O 3.1187 4.2416 0.3466
O 4.4376 2.6214 11.5666
O 4.5012 5.1371 10.3248
O 3.3647 0.1575 0.7556
O 4.4069 3.7960 8.1278
O 3.9924 1.2789 4.7810
O 4.4853 6.3080 6.8643
O 4.3367 3.9330 5.3486
O 4.9529 5.5982 3.2156
O 5.6781 1.3123 8.4354
O 5.5693 1.5245 2.1628
O 5.6953 4.0034 1.0686
O 7.0061 6.1781 10.4905
O 7.0302 2.3814 10.8191
O 6.7439 4.5390 6.7164
O 6.8320 1.6419 4.4925
```

The 12 most intense peaks (10 to 80 degrees two-theta), most intense first:
- 2θ 19.42, 4.571 Å, I 100
- 2θ 19.75, 4.496 Å, I 71
- 2θ 13.81, 6.413 Å, I 49
- 2θ 27.94, 3.194 Å, I 45
- 2θ 23.76, 3.744 Å, I 40
- 2θ 16.10, 5.506 Å, I 33
- 2θ 29.44, 3.034 Å, I 32
- 2θ 30.29, 2.951 Å, I 28
- 2θ 20.62, 4.308 Å, I 28
- 2θ 20.82, 4.267 Å, I 28
- 2θ 26.73, 3.335 Å, I 28
- 2θ 18.67, 4.753 Å, I 27


Starting from a crystal structure in Alexandria, relaxed with GGA-PBE, the X-ray diffraction stick pattern of Ac3Zn3Rh was computed for λ = 1.5418 Å (Cu Kα).
No peak broadening, texture or thermal motion is included.

Principal peaks in the range 15 to 90 degrees two-theta, in order of rising 2θ:
| 2θ (°) | d [Å] | intensity |
| --- | --- | --- |
| 21.75 | 4.086 | 39 |
| 23.99 | 3.710 | 52 |
| 29.81 | 2.997 | 86 |
| 30.58 | 2.923 | 47 |
| 30.82 | 2.901 | 84 |
| 31.33 | 2.855 | 100 |
| 34.51 | 2.599 | 38 |
| 36.20 | 2.481 | 47 |
| 43.35 | 2.087 | 51 |
| 47.81 | 1.903 | 44 |

```
Ac3Zn3Rh
1.0
5.8723 -2.0875 0.0000
5.8723 2.0875 0.0000
-4.3515 0.0000 15.5916
Ac Zn Rh
6 6 2
Cartesian
-1.4626 0.0000 6.0695
-2.6074 0.0000 14.3951
1.7247 0.0000 3.7667
5.6683 0.0000 11.8250
10.0005 0.0000 1.1965
8.8556 0.0000 9.5221
1.6916 0.0000 7.2524
0.7308 0.0000 14.3624
2.2769 0.0000 11.9838
5.1161 0.0000 3.6079
6.6622 0.0000 1.2292
5.7015 0.0000 8.3393
0.6085 0.0000 9.7976
........

Oftentimes, we might have a combination of these boundaries, or we could adjust our boundaries based on our environment. For example, what we share and how we act with our best friends might not be appropriate in the work place with colleagues. In this case, it could make sense to monitor our boundaries. However, if it seems as though you are either rigid or porous across the board with most people in your life, ask yourself what changes you’d like to make to your boundary. A therapist can help you consider how to create a healthy boundary that works best for you. It’s important to keep in mind that when we start to make changes in our personal boundaries, others around us tend to react, sometimes in ways that might make us feel like we are doing something wrong. Remember- we have the right to set healthy boundaries for ourselves to ensure security, individuality and self-respect. Please reach out if you feel as though you might be struggling to create a healthy boundary for yourself. We can help!

Kimberly Vitolo, MS, IMFT
Marriage and Family Therapist